Contents
/*
# 1
This entry pairs a crystal structure of InCu2 with its theoretical powder X-ray diffraction pattern. Radiation: Cu Kα X-rays. Structure: a GGA-PBE-relaxed structure.
Lines closer than 0.1° are merged.

Peak list (10 most intense, 10° ≤ 2θ ≤ 90°, by angle)
two_theta, Rel. int.
25.60, 40.7
33.10, 41.8
41.97, 25.6
42.31, 100.0
49.81, 12.8
52.61, 25.6
63.58, 12.0
69.47, 21.1
76.91, 15.5
77.61, 7.6

Structure:
```
data_InCu2
_chemical_formula_sum 'In1 Cu2'
_cell_length_a 3.479
_cell_length_b 3.479
_cell_length_c 4.305
_cell_angle_alpha 90.00
_cell_angle_beta 90.00
_cell_angle_gamma 90.00
_symmetry_space_group_name_H-M 'P 4/m m m'
_symmetry_Int_Tables_number 123
_symmetry_space_group_name_Hall '-P 4 2'
loop_
_atom_site_label
_atom_site_type_symbol
_atom_site_fract_x
_atom_site_fract_y
_atom_site_fract_z
_atom_site_occupancy
In1 In 0.000 0.000 0.000 1
Cu1 Cu 0.000 0.500 0.500 1
```



# 2
This entry pairs a crystal structure of In7Cu3 with its theoretical powder X-ray diffraction pattern. Radiation: Cu Kα X-rays. Structure: a GGA-PBE-relaxed structure.
Lines closer than 0.1° are merged.

Peak list (10 most intense, 10° ≤ 2θ ≤ 90°, by angle)
two_theta, Rel. int.
29.52, 62.4
32.41, 48.2
35.09, 59.6
39.97, 100.0
42.23, 17.9
46.49, 18.2
56.03, 17.5
57.81, 19.6
59.55, 19.0
72.60, 36.9

Structure:
```
data_In7Cu3
_chemical_formula_sum 'In28 Cu12'
_cell_length_a 9.570
_cell_length_b 9.570
_cell_length_c 9.570
_cell_angle_alpha 90.00
_cell_angle_beta 90.00
_cell_angle_gamma 90.00
_symmetry_space_group_name_H-M 'I m -3 m'
_symmetry_Int_Tables_number 229
_symmetry_space_group_name_Hall '-I 4 2 3'
loop_
_atom_site_label
_atom_site_type_symbol
_atom_site_fract_x
_atom_site_fract_y
_atom_site_fract_z
_atom_site_occupancy
In1 In 0.000 0.250 0.500 1
In2 In 0.163 0.163 0.163 1
Cu1 Cu 0.000 0.000 0.351 1
```



# 3
This entry pairs a crystal structure of InCu6 with its theoretical powder X-ray diffraction pattern. Radiation: Cu Kα X-rays. Structure: a GGA-PBE-relaxed structure.
Lines closer than 0.1° are merged.

Peak list (10 most intense, 10° ≤ 2θ ≤ 90°, by angle)
two_theta, Rel. int.
35.82, 39.5
39.14, 80.0
39.31, 100.0
40.27, 77.5
40.59, 34.4
42.52, 43.6
43.60, 36.6
46.23, 40.6
47.42, 38.7
54.09, 28.6

Structure:
```
data_InCu6
_chemical_formula_sum 'In4 Cu24'
_cell_length_a 8.024
_cell_length_b 5.014
_cell_length_c 9.609
_cell_angle_alpha 90.00
_cell_angle_beta 90.00
_cell_angle_gamma 90.00
_symmetry_space_group_name_H-M 'P n m a'
_symmetry_Int_Tables_number 62
loop_
_symmetry_equiv_pos_as_xyz
'x,y,z'
'-x,-y,-z'
'-x+1/2,-y,z+1/2'
'x+1/2,y,-z+1/2'
'x+1/2,-y+1/2,-z+1/2'
'-x+1/2,y+1/2,z+1/2'
'-x,y+1/2,-z'
'x,-y+1/2,z'
loop_
_atom_site_label
_atom_site_type_symbol
_atom_site_fract_x
_atom_site_fract_y
_atom_site_fract_z
_atom_site_occupancy
In1 In 0.244 0.250 0.061 1
Cu1 Cu 0.055 0.008 0.302 1
Cu2 Cu 0.064 0.750 0.077 1
Cu3 Cu 0.109 0.250 0.522 1
Cu4 Cu 0.164 0.750 0.839 1
Cu5 Cu 0.191 0.250 0.773 1
```
*/

Exercise
Now retype all of the material further up word for word.

Response
# 1
This entry pairs a crystal structure of InCu2 with its theoretical powder X-ray diffraction pattern. Radiation: Cu Kα X-rays. Structure: a GGA-PBE-relaxed structure.
Lines closer than 0.1° are merged.

Peak list (10 most intense, 10° ≤ 2θ ≤ 90°, by angle)
two_theta, Rel. int.
25.60, 40.7
33.10, 41.8
41.97, 25.6
42.31, 100.0
49.81, 12.8
52.61, 25.6
63.58, 12.0
69.47, 21.1
76.91, 15.5
77.61, 7.6

Structure:
```
data_InCu2
_chemical_formula_sum 'In1 Cu2'
_cell_length_a 3.479
_cell_length_b 3.479
_cell_length_c 4.305
_cell_angle_alpha 90.00
_cell_angle_beta 90.00
_cell_angle_gamma 90.00
_symmetry_space_group_name_H-M 'P 4/m m m'
_symmetry_Int_Tables_number 123
_symmetry_space_group_name_Hall '-P 4 2'
loop_
_atom_site_label
_atom_site_type_symbol
_atom_site_fract_x
_atom_site_fract_y
_atom_site_fract_z
_atom_site_occupancy
In1 In 0.000 0.000 0.000 1
Cu1 Cu 0.000 0.500 0.500 1
```



# 2
This entry pairs a crystal structure of In7Cu3 with its theoretical powder X-ray diffraction pattern. Radiation: Cu Kα X-rays. Structure: a GGA-PBE-relaxed structure.
Lines closer than 0.1° are merged.

Peak list (10 most intense, 10° ≤ 2θ ≤ 90°, by angle)
two_theta, Rel. int.
29.52, 62.4
32.41, 48.2
35.09, 59.6
39.97, 100.0
42.23, 17.9
46.49, 18.2
56.03, 17.5
57.81, 19.6
59.55, 19.0
72.60, 36.9

Structure:
```
data_In7Cu3
_chemical_formula_sum 'In28 Cu12'
_cell_length_a 9.570
_cell_length_b 9.570
_cell_length_c 9.570
_cell_angle_alpha 90.00
_cell_angle_beta 90.00
_cell_angle_gamma 90.00
_symmetry_space_group_name_H-M 'I m -3 m'
_symmetry_Int_Tables_number 229
_symmetry_space_group_name_Hall '-I 4 2 3'
loop_
_atom_site_label
_atom_site_type_symbol
_atom_site_fract_x
_atom_site_fract_y
_atom_site_fract_z
_atom_site_occupancy
In1 In 0.000 0.250 0.500 1
In2 In 0.163 0.163 0.163 1
Cu1 Cu 0.000 0.000 0.351 1
```



# 3
This entry pairs a crystal structure of InCu6 with its theoretical powder X-ray diffraction pattern. Radiation: Cu Kα X-rays. Structure: a GGA-PBE-relaxed structure.
Lines closer than 0.1° are merged.

Peak list (10 most intense, 10° ≤ 2θ ≤ 90°, by angle)
two_theta, Rel. int.
35.82, 39.5
39.14, 80.0
39.31, 100.0
40.27, 77.5
40.59, 34.4
42.52, 43.6
43.60, 36.6
46.23, 40.6
47.42, 38.7
54.09, 28.6

Structure:
```
data_InCu6
_chemical_formula_sum 'In4 Cu24'
_cell_length_a 8.024
_cell_length_b 5.014
_cell_length_c 9.609
_cell_angle_alpha 90.00
_cell_angle_beta 90.00
_cell_angle_gamma 90.00
_symmetry_space_group_name_H-M 'P n m a'
_symmetry_Int_Tables_number 62
loop_
_symmetry_equiv_pos_as_xyz
'x,y,z'
'-x,-y,-z'
'-x+1/2,-y,z+1/2'
'x+1/2,y,-z+1/2'
'x+1/2,-y+1/2,-z+1/2'
'-x+1/2,y+1/2,z+1/2'
'-x,y+1/2,-z'
'x,-y+1/2,z'
loop_
_atom_site_label
_atom_site_type_symbol
_atom_site_fract_x
_atom_site_fract_y
_atom_site_fract_z
_atom_site_occupancy
In1 In 0.244 0.250 0.061 1
Cu1 Cu 0.055 0.008 0.302 1
Cu2 Cu 0.064 0.750 0.077 1
Cu3 Cu 0.109 0.250 0.522 1
Cu4 Cu 0.164 0.750 0.839 1
Cu5 Cu 0.191 0.250 0.773 1
```